ADE today Adriaan Rijllart EN-ICE-MTA 26-05-09 RADE workshop, Adriaan
today ADE The framework The core Failsafe services Recent improvements Training Exchange experience 26-05-09 RADE workshop, Adriaan
Misplaced records of molecules.
<<<
1.
Computed, not measured: a 5-piece molecular cluster, CH12N2O4 overall at a distorted geometry, with wB97M-V/def2-TZVPD.

XYZ file:
```
19
CH12N2O4 | OMol25 | wB97M-V/def2-TZVPD
H -1.433 -1.331 -0.118
N -1.010 -0.948 -0.958
C 0.183 -1.426 -1.154
N 0.913 -0.799 -2.122
H 0.670 -2.182 -0.485
H 0.624 0.163 -2.378
H 1.889 -0.920 -1.985
O 2.091 1.922 1.027
H 2.063 2.297 0.140
H 2.057 0.998 1.107
O -1.088 -1.746 2.811
H -0.263 -1.951 3.247
H -0.758 -1.002 2.257
O 0.132 0.184 1.569
H -0.485 0.071 0.836
H 0.264 1.149 1.597
O -1.405 2.210 -1.900
H -2.171 1.680 -1.666
H -0.773 1.514 -2.097
```

DFT total energy (hartree): -455.739352
Lowest unoccupied orbital energy (eV): 0.220
Energy relative to the best compared isomer or geometry (same formula, charge and spin) (eV): 1.542
Frontier orbital gap (Ha): 0.3816
SMILES string: [H]/N=C/N.O.O.O.O

---

2.
Computed, not measured: a 5-piece molecular cluster, CH12NO4 overall at a distorted geometry, with wB97M-V/def2-TZVPD.

XYZ file:
```
18
CH12NO4 | OMol25 | wB97M-V/def2-TZVPD
C -0.814 1.580 -0.246
N -0.601 0.354 0.005
H -1.568 1.780 -1.004
H -0.447 2.442 0.295
H 0.273 -0.052 0.437
H -1.113 -0.260 -0.651
H -2.707 -1.690 -1.981
H -1.241 -2.248 -2.011
O -1.844 -1.675 -1.535
H 2.245 -1.211 0.609
H 2.477 0.106 1.329
O 1.770 -0.407 0.912
H -2.312 3.326 1.967
H -2.079 2.152 2.940
O -1.648 2.725 2.300
H 3.570 -1.623 -1.322
H 2.991 -3.073 -1.250
O 3.048 -2.227 -0.794
```

DFT total energy (hartree): -400.763931
Lowest unoccupied orbital energy (eV): -3.902
Net charge: +1
Energy relative to the best compared isomer or geometry (same formula, charge and spin) (eV): 0.423
Frontier orbital gap (Ha): 0.4111

---

3.
Computed, not measured: a 5-piece molecular cluster, CH12NO4 overall at a distorted geometry, with wB97M-V/def2-TZVPD.

XYZ file:
```
18
CH12NO4 | OMol25 | wB97M-V/def2-TZVPD
C 2.618 -0.087 -0.322
N 1.599 0.658 -0.114
H 3.058 -0.548 0.550
H 3.085 -0.012 -1.292
H 0.796 0.447 0.582
H 1.163 0.987 -0.975
H 2.153 2.972 -3.298
H 0.774 3.441 -3.087
O 1.369 2.742 -2.781
H -0.945 1.422 1.732
H -1.041 -0.160 1.658
O -0.492 0.613 1.473
H -2.987 -2.786 -1.432
H -1.781 -2.143 -1.904
O -2.100 -2.586 -1.102
H -3.040 -2.134 3.147
H -2.046 -1.117 3.952
O -2.184 -1.708 3.213
```

DFT total energy (hartree): -400.734673
Lowest unoccupied orbital energy (eV): -4.835
Net charge: +1
Energy relative to the best compared isomer or geometry (same formula, charge and spin) (eV): 1.219
Frontier orbital gap (Ha): 0.3451

---

Q: What is the DFT total energy in the second record?
A: -400.763931 hartree


Density functional theory data (ωB97M-V with the def2-TZVPD basis set) for a molecular structure, C28H53ClF6OP2Si2Zr in a non-equilibrium geometry.

Values from the calculation:
2S+1: 1
net charge: 0
HOMO (alpha / beta): -5.406 / -5.406 eV
Kohn-Sham gap (alpha / beta): 5.6 / 5.6 eV
F_max: 4.62 eV Å⁻¹

Cartesian coordinates (Å):
Zr (0.03180, 0.08881, 0.05496)
C (0.98242, -2.05187, 0.59696)
C (-0.39814, -2.33567, 0.32832)
>>>
today ADE The framework The core Failsafe services Recent improvements Training Exchange experience 26-05-09 RADE workshop, Adriaan
RADE building blocks 2. Control Integration 1. Installation Clear LabVIEW version policy NFS installation for Linux TS installation Windows installer Application server RADE server 2. Control Integration Maintained interface libraries - CMW - DIM - RBAC - PLC ORACLE - JAPC SDDS 3. Support Webpage ( Mailing list ( Direct user support 4. Development help Trainings (cta) RADE events (indico) Documentation (edms) Defined GUI Application templates Configuration files 26-05-09 RADE workshop, Adriaan
RADE graphically libs Defined GUI Application templates Configuration files Documentation Trainings & events Support LabVIEW ORACLE SDDS JAPC libs 26-05-09 RADE workshop, Adriaan
today ADE The framework The core Failsafe services Recent improvements Training Exchange experience 26-05-09 RADE workshop, Adriaan
The RADE core technology LabVIEW user application RADE CORE LabVIEW library SDDS PLC LabVIEW lib C/C++ shared lib CMW RBAC Java Tomcat Server JAPC Oracle RBAC LabVIEW Server ODBC 26-05-09 RADE workshop, Adriaan
today ADE The framework The core Failsafe services Recent improvements Training Exchange experience 26-05-09 RADE workshop, Adriaan
Where can we make failsafe services? LabVIEW user application RADE CORE LabVIEW library LabVIEW LabVIEW lib C/C++ shared lib Tomcat Server LabVIEW Server Java SDDS PLC CMW RBAC JAPC Oracle ODBC 26-05-09 RADE workshop, Adriaan
LabVIEW user application Failsafe services LabVIEW user application JAPC User computer cwo-ccr-cpmcom abcopm02 CMW FESA CMW server cs-ccr-lv1 Win Windows specific services RADE cs-ccr-rade1 abcopm01 JAPC FE access JAPC DB access Java RBAC 26-05-09 RADE workshop, Adriaan
today ADE The framework The core Fail safe services Recent improvements Training Exchange experience 26-05-09 RADE workshop, Adriaan
Recent improvements Faster DB access Upload data to Logging DB Send alarms to LASER DIP (Data Interchange Protocol) PLC fetch-write library Faster SDDS library Rapid Analog Signal toolkit (RADAR) Use local Jars RBAC using Java 26-05-09 RADE workshop, Adriaan
today ADE The framework The core Fail safe services Recent improvements Training Exchange experience 26-05-09 RADE workshop, Adriaan
LabVIEW with RADE training LabVIEW Intermediate II with RADE applications 14-15 May 2009 (In English, done) LabVIEW Basic I with RADE introduction 8-10 June 2009 (In English) LabVIEW Intermediate II with RADE applications 29-30 October 2009 (In French) 26-05-09 RADE workshop, Adriaan
today ADE The framework The core Fail safe services Recent improvements Training Exchange experience 26-05-09 RADE workshop, Adriaan
Exchange experience ADE LabVIEW R 26-05-09 RADE workshop, Adriaan